-- Entries --
- - -
[1]
This record from the OMol25 dataset describes a cluster of 2 separate species, C6H12N2 in total. The level of theory is ωB97M-V/def2-TZVPD.

Each line ends with the natural charge from an NBO analysis.
Cartesian coordinates (Å):
C 0.609 0.676 0.485  -0.114
C 1.647 -0.247 1.071  -0.655
C -0.554 -1.390 -0.611  0.124
N 0.990 1.369 -0.727  -0.875
N -1.739 1.669 -0.429  -0.856
C -1.670 -0.782 -0.244  -0.318
C -1.664 0.540 0.357  0.065
C 0.212 -2.442 -0.813  -0.518
H 0.337 1.426 1.229  0.176
H 1.325 0.716 -1.429  0.359
H 1.696 2.090 -0.578  0.362
H -0.911 1.816 -1.025  0.426
H -2.332 2.420 -0.100  0.386
H -2.638 -1.266 -0.413  0.206
H -2.219 0.635 1.292  0.189
H 2.058 -0.930 0.324  0.200
H 1.221 -0.845 1.880  0.217
H 2.499 0.323 1.473  0.196
H 0.030 -3.388 -0.311  0.221
H 1.101 -2.391 -1.432  0.209



[2]
This record from the OMol25 dataset describes a structure of composition C22H22BrN6STl. The level of theory is ωB97M-V/def2-TZVPD.

Each line ends with the Löwdin charge.
Cartesian coordinates (Å):
Tl -0.540 0.526 0.471  0.883
C 4.887 -0.248 3.185  -0.089
C 4.241 1.103 3.467  -0.239
N 2.785 1.051 3.536  -0.028
C 1.981 0.866 2.477  -0.785
S 0.280 0.682 2.865  0.649
N 2.585 0.841 1.303  0.009
N 1.792 0.693 0.228  -0.062
C 2.312 0.587 -0.936  -0.246
C 3.787 0.614 -1.182  -0.013
C 1.375 0.410 -2.076  -0.213
C 1.817 0.208 -3.372  0.002
C 0.882 0.023 -4.381  -0.035
C -0.466 0.048 -4.078  -0.026
C -0.833 0.261 -2.758  -0.076
N 0.074 0.439 -1.806  0.035
H 5.974 -0.152 3.191  0.072
H 4.574 -0.622 2.211  0.057
H 4.602 -0.978 3.944  0.075
H 4.524 1.827 2.704  0.108
H 4.578 1.486 4.429  0.113
H 2.341 0.994 4.437  0.113
H 4.307 0.802 -0.250  0.064
H 4.042 1.396 -1.901  0.093
H 4.123 -0.341 -1.592  0.096
H 2.876 0.187 -3.589  0.112
H 1.208 -0.143 -5.399  0.116
H -1.221 -0.098 -4.837  0.114
H -1.870 0.290 -2.436  0.121
Br -1.770 -6.845 -0.023  0.684
C -1.923 -4.951 0.046  -0.720
C -3.164 -4.350 -0.035  -0.140
C -3.284 -2.970 0.012  -0.026
C -2.150 -2.142 0.139  -0.314
C -0.901 -2.797 0.228  -0.057
C -0.784 -4.171 0.183  -0.144
N -2.220 -0.784 0.150  -0.121
C -3.408 -0.035 0.078  -0.159
C -3.373 1.318 0.075  -0.322
C -4.565 2.146 0.035  -0.055
C -4.477 3.487 0.040  -0.104
C -3.187 4.134 0.098  -0.116
C -2.090 3.349 0.158  -0.189
N -2.137 1.987 0.138  -0.087
H -4.051 -4.963 -0.134  0.099
H -4.268 -2.530 -0.053  0.091
H 0.000 -2.199 0.348  0.078
H 0.189 -4.638 0.258  0.098
H -4.365 -0.534 0.068  0.093
H -5.526 1.647 0.005  0.107
H -5.377 4.089 0.009  0.096
H -3.089 5.210 0.103  0.084
H -1.100 3.788 0.221  0.103



[3]
This record from the OMol25 dataset describes a cluster of 2 separate species, C4H14N2 in total. The level of theory is ωB97M-V/def2-TZVPD.

Each line ends with the natural charge from an NBO analysis.
Cartesian coordinates (Å):
C 0.924 1.220 -1.710  -0.421
N -0.256 0.412 -1.534  -0.640
C -0.162 -0.874 -2.200  -0.414
H 1.783 0.766 -1.206  0.199
H 1.208 1.383 -2.764  0.163
H 0.795 2.209 -1.267  0.204
H -1.101 0.892 -1.804  0.361
H 0.104 -0.771 -3.256  0.167
H -1.119 -1.400 -2.121  0.201
H 0.587 -1.490 -1.688  0.193
C -0.644 0.898 2.313  -0.414
N 0.301 0.013 1.605  -0.655
C 0.060 -1.417 1.810  -0.415
H -0.971 0.411 3.237  0.185
H -0.131 1.804 2.631  0.190
H -1.509 1.167 1.701  0.171
H 0.173 0.187 0.614  0.381
H -0.635 -1.593 2.627  0.181
H 0.986 -1.920 2.072  0.187
H -0.393 -1.897 0.938  0.175



Number 1: F_max 0.0493 Eh/bohr, frontier orbital gap 7.87 eV. Number 2: F_max 0.0205 Eh/bohr, frontier orbital gap 4.43 eV. Number 3: F_max 0.0138 Eh/bohr, frontier orbital gap 9.31 eV.

=====

# 1
An isolated molecule of C17H18F3N3O2. Source: the Open Molecules 2025 dataset; level of theory: ωB97M-V with the def2-TZVPD basis set.

The geometry in XYZ format:
```
43
Properties=species:S:1:pos:R:3:forces:R:3:nbo_charge:R:1
C 5.10982 2.48411 1.01192 -0.192 0.150 -0.318 -0.649
C 4.10734 1.85429 0.11364 0.131 -0.849 0.565 0.286
C 3.61083 0.59063 0.05601 0.208 0.583 0.023 -0.297
C 2.67537 0.57049 -1.02443 0.167 0.851 -0.336 -0.264
- - -

-- Activity --
Give back the listing further up from the first line to the one with "-1.100 3.788" character by character.

-- Completed --
[1]
This record from the OMol25 dataset describes a cluster of 2 separate species, C6H12N2 in total. The level of theory is ωB97M-V/def2-TZVPD.

Each line ends with the natural charge from an NBO analysis.
Cartesian coordinates (Å):
C 0.609 0.676 0.485  -0.114
C 1.647 -0.247 1.071  -0.655
C -0.554 -1.390 -0.611  0.124
N 0.990 1.369 -0.727  -0.875
N -1.739 1.669 -0.429  -0.856
C -1.670 -0.782 -0.244  -0.318
C -1.664 0.540 0.357  0.065
C 0.212 -2.442 -0.813  -0.518
H 0.337 1.426 1.229  0.176
H 1.325 0.716 -1.429  0.359
H 1.696 2.090 -0.578  0.362
H -0.911 1.816 -1.025  0.426
H -2.332 2.420 -0.100  0.386
H -2.638 -1.266 -0.413  0.206
H -2.219 0.635 1.292  0.189
H 2.058 -0.930 0.324  0.200
H 1.221 -0.845 1.880  0.217
H 2.499 0.323 1.473  0.196
H 0.030 -3.388 -0.311  0.221
H 1.101 -2.391 -1.432  0.209



[2]
This record from the OMol25 dataset describes a structure of composition C22H22BrN6STl. The level of theory is ωB97M-V/def2-TZVPD.

Each line ends with the Löwdin charge.
Cartesian coordinates (Å):
Tl -0.540 0.526 0.471  0.883
C 4.887 -0.248 3.185  -0.089
C 4.241 1.103 3.467  -0.239
N 2.785 1.051 3.536  -0.028
C 1.981 0.866 2.477  -0.785
S 0.280 0.682 2.865  0.649
N 2.585 0.841 1.303  0.009
N 1.792 0.693 0.228  -0.062
C 2.312 0.587 -0.936  -0.246
C 3.787 0.614 -1.182  -0.013
C 1.375 0.410 -2.076  -0.213
C 1.817 0.208 -3.372  0.002
C 0.882 0.023 -4.381  -0.035
C -0.466 0.048 -4.078  -0.026
C -0.833 0.261 -2.758  -0.076
N 0.074 0.439 -1.806  0.035
H 5.974 -0.152 3.191  0.072
H 4.574 -0.622 2.211  0.057
H 4.602 -0.978 3.944  0.075
H 4.524 1.827 2.704  0.108
H 4.578 1.486 4.429  0.113
H 2.341 0.994 4.437  0.113
H 4.307 0.802 -0.250  0.064
H 4.042 1.396 -1.901  0.093
H 4.123 -0.341 -1.592  0.096
H 2.876 0.187 -3.589  0.112
H 1.208 -0.143 -5.399  0.116
H -1.221 -0.098 -4.837  0.114
H -1.870 0.290 -2.436  0.121
Br -1.770 -6.845 -0.023  0.684
C -1.923 -4.951 0.046  -0.720
C -3.164 -4.350 -0.035  -0.140
C -3.284 -2.970 0.012  -0.026
C -2.150 -2.142 0.139  -0.314
C -0.901 -2.797 0.228  -0.057
C -0.784 -4.171 0.183  -0.144
N -2.220 -0.784 0.150  -0.121
C -3.408 -0.035 0.078  -0.159
C -3.373 1.318 0.075  -0.322
C -4.565 2.146 0.035  -0.055
C -4.477 3.487 0.040  -0.104
C -3.187 4.134 0.098  -0.116
C -2.090 3.349 0.158  -0.189
N -2.137 1.987 0.138  -0.087
H -4.051 -4.963 -0.134  0.099
H -4.268 -2.530 -0.053  0.091
H 0.000 -2.199 0.348  0.078
H 0.189 -4.638 0.258  0.098
H -4.365 -0.534 0.068  0.093
H -5.526 1.647 0.005  0.107
H -5.377 4.089 0.009  0.096
H -3.089 5.210 0.103  0.084
H -1.100 3.788 0.221  0.103